Senior Database Consultant
Hardware : VAX (8220,11/750), IBM PC, AT&T Pyramid, HP 1000, Apollo Workstation, IBM 370, AT&T 6386, VAXstation
Operating Systems: Windows NT, VAX/VMS, UNIX (Sys V), RTEA, VM/CMS, MSDOS and OS/2
Databases : ORACLE9i (SQL*Plus, Pro*C, SQL*Forms, SQL*ReportWriter, SQL*Loader, SQL*Menu, SQLASSIST), Developer/2000, Oracle Apps 11i, MS Access, Dbase IV, FoxPro, Clipper
Languages : SQL, PL/SQL, SQR, ASP, HTML, JavaScript, VB Script, PERL, SAS, C, PL, RPL, PASCAL, FORTRAN, HTML, ASSEMBLY(68000) and LISP
Software : Crystal Reports 8.0, TOAD, SQL Navigator 4, MS Word, MS Excel, ISIS, and several other packages.
Senior Database Consultant
Confidential,Hopewell, New Jersey January 2008 – Current
Implemented enhancements to Global Medical Affairs Study Tracking (GMAST) system to track Post Marketing Trials throughout the world on Oracle 9iAS using PL/SQL and JavaScript. Development involved changes to user interface and reports which were generated using Oracle 10g Developer Suite.
Implemented enhancements to Product/Market Approval & Phasing System (GMAP) on Oracle 9iAS using PL/SQL and JavaScript along with Business Objects reporting tool.
Implemented IMPACT 3.4.7 changes and was involved in data migration efforts for My Trials application. DataFlux tool and PL/SQL was used extensively in massaging the SQL server data to be ported into Oracle database.
Developed backend structure in Oracle 10G, which provides PSM algorithms and creates data which is required by SPEaR (Start-up Planning, Enrollment and Reporting) Front end and BI Reports. The Data engine takes input data from IMPACT and EDM Systems. SPEaR forecasting tool has a front end built using COGNOS.
Senior Database Consultant
Confidential,New Jersey January 2006 – December 2007
Involved in Data Modeling of Multi program-GRE application in ORACLE. Developed PL/SQL batch programs using JAVA wrapper to interface with PeopleSoft. Also created queries to be used in Actuate reports. Lead development efforts in project releases.
____________
The following is a DFT calculation (PBE+U) of an optimized crystal structure of Li4FeTe3O12.

a b c (Å): 5.213 5.490 7.556
angles (deg): 86.03 89.88 89.90
Positions (direct):
O  0.306  0.793  0.936
Fe  0.002  0.017  0.002
Te  0.500  0.501  0.001
O  0.875  0.987  0.740
O  0.208  0.310  0.929
Li  0.505  0.054  0.807
O  0.121  0.973  0.259
O  0.695  0.807  0.423
O  0.176  0.680  0.565
Li  0.006  0.592  0.810
Li  0.495  0.023  0.247
O  0.674  0.188  0.048
Te  0.499  0.500  0.504
O  0.805  0.678  0.049
O  0.364  0.481  0.249
Te  0.000  0.004  0.502
O  0.813  0.308  0.423
Li  0.996  0.583  0.263
O  0.639  0.489  0.751
O  0.321  0.173  0.565

- DFT formation energy: -1.78 eV/atom
____________
[Back to the page]
Senior Database Consultant
Confidential,Lawrenceville, New Jersey October 2005 – January 2006
Implemented UNIX shell scripts for automation of data loads and PL/SQL packages for reconciliation of expense data. Developed user interface with Oracle Forms 6i. Created exception reports in HTML to be sent using ORACLE SMTP utility. Also developed PL/SQL packages to interface with .NET.
Senior Database Consultant
Confidential,New Jersey October 2004 – October 2005
Involved in Data Modeling of Next Generation TOEFL order processing application in ORACLE. Developed several PL/SQL batch programs to interface with PeopleSoft. Also created queries to be used in Actuate reports.
Senior Database Consultant
Confidential,Lawrenceville, New Jersey May 2004 – October 2004
Enhanced Deal Tracking application on Oracle 9iAS using PL/SQL and JavaScript (TraX is a web-based suite of tools designed to help business development personnel to manage the details, progress, and documents associated with a deal in a centralized, secure, collaborative environment). Worked on JSP and MS Access 2002 applications. Built reports in PERL and Crystal Reports 9.0.
Senior Database Consultant
Confidential,New Jersey October 2003 – March 2004
Senior Database Consultant
Confidential,Somerset, New Jersey March 2003 – July 2003
Worked on Sales Forecast and financial outlook system, which incorporated data from sales force and Oracle Apps 11i creating Forecast, Future outlook and highlighting trends. This allowed management to better understand the market and focus on production.
Senior Database Engineer
Confidential,Horsham, Pennsylvania July 2002 – December 2002
Worked with a group of developers on a project for C-SPAN to manage, and distribute programming and scheduling information using Oracle Objects for OLE. Developed PL/SQL packages for data migration on Oracle 9.2.0. Involved with requirement analysis, design and development of database and client interface for finding companies and products. Implemented Oracle Text search utility.
Senior Database Engineer
Confidential,New Jersey April 2000 – April 2002
Worked with a group of developers in E-Commerce development. Developed several PL/SQL backend processes in Oracle 8.0.5. Helped developers in Web applications and written multiple reports using Crystal Reports 8.0. Designed, Developed and Implemented a Web Statistics Package to handle large sets of data.
Project Leader / Oracle Developer
Confidential,New Jersey September 1998 – March 2000
Lead a team of developers in the conversion SQL*Forms 3.0 and SQL*Menu 5.0 applications to Forms 4.5. Converted applications from Access 2.0 to Access 97. Involved in making several applications Y2K compliant and documentation. Utilized the following tools: Forms 4.5, SQR, MS Access 97, FoxPro and ISIS.
Database Consultant
Confidential,New Jersey July 1998 - September 1998
Developed reports for “PSDI Maximo parts and inventory management system” using SQR. Also supervised developers in writing database triggers and made changes to existing data entry screens.
Database Consultant
Confidential,New Jersey April 1997 – July 1998
Worked with Computer Applications group in the requirement analysis, design, development, integration and documentation of Regulatory Document Index database to track titles of study reports used to support product registrations within the International Regulatory Affairs group. Developed and implemented a Submissions module for Animal Study and Submission Tracking System. Used SQL*Forms, SQL*Menu and SQR 3.0 on VAX/VMS.
Worked through Analysis, design, implementation, user acceptance test and all relevant documentation including a user’s manual of a payments database for Toxicology group using MS Access 97 and VBA.
Database Expert
Confidential,New Jersey October 1993 April 1997
Design and build a data management system using Clintrial (ver 3.3) on Oracle (ver 7.0). Design, develop and define database structures according to Case Report Forms for clinical trial data collection and storage. Develop electronic edit, logic and consistency checks for data cleanup using validation software and procedures. Troubleshoot and validate operational problems related to clinical data collection tools databases. Served as the primary point of contact between the Data Manager and Bio-statisticians. Instruct and mentor new staff and junior
team members in the training and use of data collection tools. Establish and maintain effective communication with Data Manager and Bio-statisticians to identify enhancements needed for error detection and task automation. Work with Data Management team and global IT staff to determine data collection design tools for clinical studies.
Database Consultant
Confidential,, New Jersey September 1992 September 1993
Provide Systems Analysis and development support for an Evaluation System for all contract work done for Merck & Co. Used Oracle (Ver 6.0), SQL*Forms, SQL*ReportWriter and SQL*Menu on VAX/VMS. Built a Personnel Database system and provided Oracle Training.
Oracle Consultant
[Attached: calculated crystals]
┌──
VASP calculation (PBE) on a relaxed structure of Cs3GdP2O8.

Results
Formation enthalpy at 0 K = -2.94 eV/atom
Space-group type = No. 4
Magnetization = 7.0 μB/f.u.

abc: 10.435 10.576 10.722
angles: 90.00 107.70 90.00
Atoms (fractional coordinates):
O: 0.504 0.108 0.999
O: 0.057 0.531 0.507
O: 0.881 0.355 0.873
O: 0.565 0.736 0.508
O: 0.860 0.229 0.349
O: 0.989 0.673 0.999
O: 0.268 0.260 0.259
O: 0.708 0.639 0.194
O: 0.480 0.724 0.705
O: 0.140 0.729 0.651
O: 0.011 0.173 0.001
O: 0.779 0.220 0.018
O: 0.496 0.608 0.001
O: 0.366 0.050 0.333
O: 0.978 0.567 0.703
O: 0.119 0.855 0.127
O: 0.382 0.918 0.874
O: 0.227 0.519 0.739
O: 0.520 0.224 0.295
O: 0.773 0.019 0.261
O: 0.277 0.044 0.019
O: 0.732 0.760 0.741
O: 0.022 0.067 0.297
O: 0.943 0.031 0.493
O: 0.196 0.630 0.195
O: 0.435 0.236 0.492
O: 0.804 0.130 0.805
O: 0.723 0.544 0.981
O: 0.221 0.720 0.982
O: 0.292 0.139 0.806
O: 0.634 0.550 0.667
O: 0.618 0.418 0.126
P: 0.134 0.717 0.078
P: 0.400 0.196 0.349
P: 0.098 0.586 0.646
P: 0.600 0.696 0.651
P: 0.902 0.086 0.354
P: 0.866 0.217 0.922
P: 0.639 0.554 0.077
P: 0.361 0.054 0.923
Gd: 0.657 0.208 0.164
Gd: 0.159 0.065 0.163
Gd: 0.343 0.708 0.836
Gd: 0.841 0.565 0.837
Cs: 0.990 0.416 0.211
Cs: 0.965 0.766 0.335
Cs: 0.278 0.397 0.019
Cs: 0.725 0.477 0.436
Cs: 0.668 0.018 0.546
Cs: 0.010 0.916 0.789
Cs: 0.520 0.320 0.778
Cs: 0.035 0.266 0.665
Cs: 0.480 0.820 0.222
Cs: 0.275 0.977 0.564
Cs: 0.722 0.897 0.981
Cs: 0.332 0.518 0.454

---

VASP calculation (PBE) on a relaxed structure of PrMn4Co8.

Results
Formation enthalpy at 0 K = 0.06 eV/atom
Space-group type = No. 139
Magnetization = 16.2 μB/f.u.

abc: 4.542 6.425 6.425
angles: 82.82 69.30 69.30
Atoms (fractional coordinates):
Mn: 0.000 0.500 0.000
Mn: 0.000 0.000 0.500
Mn: 0.500 0.500 0.000
Mn: 0.500 0.000 0.500
Co: 0.500 0.767 0.233
Co: 0.361 0.639 0.639
Co: 0.000 0.361 0.639
Co: 0.500 0.233 0.767
Co: 0.733 0.767 0.767
Co: 0.267 0.233 0.233
Co: 0.639 0.361 0.361
Co: 0.000 0.639 0.361
Pr: 0.000 0.000 0.000

---

VASP calculation (PBE) on a relaxed structure of CsPbCl3.

Results
Formation enthalpy at 0 K = -1.89 eV/atom
Space-group type = No. 38

abc: 5.811 11.272 7.968
angles: 44.98 90.00 90.00
Atoms (fractional coordinates):
Cl: 0.500 0.993 0.999
Cl: 0.000 0.802 0.881
Cl: 0.000 0.183 0.119
Cl: 0.000 0.683 0.500
Cl: 0.500 0.492 0.001
Cl: 0.000 0.301 0.500
Pb: 0.000 0.993 0.000
Pb: 0.000 0.493 0.000
Cs: 0.500 0.994 0.500
Cs: 0.500 0.493 0.500

---

VASP calculation (PBE) on a relaxed structure of Ti2CdC.

Results
Formation enthalpy at 0 K = -0.54 eV/atom
Space-group type = No. 194

abc: 3.105 3.105 14.544
angles: 90.00 90.00 120.00
Atoms (fractional coordinates):
Ti: 0.667 0.333 0.423
Ti: 0.333 0.667 0.577
Ti: 0.333 0.667 0.923
Ti: 0.667 0.333 0.077
Cd: 0.667 0.333 0.750
Cd: 0.333 0.667 0.250
C: 0.000 0.000 0.000
C: 0.000 0.000 0.500


Record 1
! PBE with a Hubbard U Li4V3P8O29, optimized geometry; values from VASP
&SYSTEM
  ibrav = 0, nat = 88, ntyp = 4
/
ATOMIC_SPECIES
O 16.00 O.upf
Li 6.94 Li.upf
└──
[So much for the calculated crystals]
Confidential,Trenton, New Jersey April 1992 September 1992
Developed an Automated Information System for the Commercial Recording Division of the State of New Jersey. This required extensive use of Oracle (Ver 6.0), SQL*Forms (Ver 3.0), SQR (Ver 2.14) under PRIMOS.
Software Consultant
Confidential,New Jersey July 1991 April 1992
Analyzed and implemented view screens and reports for AT&T Sales Compensation Management System. Worked under extreme time pressure to deliver the system on time. Implementation was done on AT&T Pyramid 7000 using UNIX, Oracle (Ver 6.0), SQL*Forms (Ver 3.0), PRO*C (Ver 1.3) & C.
Software Consultant/Database Specialist
Confidential,New Jersey November 1990 June 1991
Solely responsible for the design, development and testing of a Package Component Management System. Implemented on a VAX 8820 running VMS (Ver 5.41A) and ORACLE (Ver 6.0) and required extensive use of SQL*Forms (Ver 3.0) and SQL*ReportWriter (Ver 1.1)
Scientific Programmer
Confidential,Cranbury, New Jersey September 1989 October 1990
Design a Raw Material Inventory database for the Formulations Department to maintain optimal inventory levels. This was developed on an Apollo Workstation running UNIX, ORACLE (Ver 6.0). Tools used were SQL*PLUS (Ver 3.0), Pro*C (Ver 1.3), SQL*Forms (Ver 2.3) and SQL*ReportWriter (Ver 1.1).
Developed a highly successful Statistical Analysis Package for the Pharmacology Department. This involved complex Macro programming in LOTUS 123.
Database Analyst
Confidential,New Jersey March 1989 September 1989
### Records of crystals that have nothing to do with the article
~~~
VASP calculation (PBE-GGA) on an optimized crystal structure of PrAu2.

Properties
**Calculated formation energy**: -0.76 eV per atom
**Symmetry**: Imma (74)

Cell lengths 4.7260, 6.0150, 6.0150 Å; angles 73.89, 66.87, 66.87 degrees
With the nearest neighbours (Å) after each atom.
Sites, in units of the cell vectors:
Pr  0.4654  0.2846  0.7846  12 Au 3.25-3.48
Au  0.8365  0.1305  0.1966  3 Au 2.77-2.78
Pr  0.5346  0.7154  0.2154  12 Au 3.25-3.48
Au  0.1635  0.8695  0.8034  3 Au 2.77-2.78
Au  0.8365  0.6966  0.6305  3 Au 2.77-2.78
Au  0.1635  0.3034  0.3695  3 Au 2.77-2.78



VASP calculation (PBE-GGA) on an optimized crystal structure of Al2Cu.

Properties
**Calculated formation energy**: -0.17 eV per atom
**Symmetry**: I4/mcm (140)

Cell lengths 4.9282, 4.9282, 4.9282 Å; angles 103.83, 103.83, 121.46 degrees
With the nearest neighbours (Å) after each atom.
Sites, in units of the cell vectors:
Al  0.8424  0.3424  0.1848  4 Cu 2.59, 3 Al 2.71-2.89
Al  0.3424  0.1576  0.5000  4 Cu 2.59, 3 Al 2.71-2.89
Cu  0.2500  0.2500  0.0000  2 Cu 2.41, 8 Al 2.59
Al  0.1576  0.6576  0.8152  4 Cu 2.59, 3 Al 2.71-2.89
Al  0.6576  0.8424  0.5000  4 Cu 2.59, 3 Al 2.71-2.89
Cu  0.7500  0.7500  0.0000  2 Cu 2.41, 8 Al 2.59



VASP calculation (PBE-GGA) on an optimized crystal structure of Ag3SBr.

Properties
**Total magnetization**: 0.00 μB/cell
**Calculated formation energy**: -0.31 eV per atom
**Symmetry**: Cmcm (63)

Cell lengths 6.9924, 6.9924, 9.9171 Å; angles 90.00, 90.00, 91.05 degrees
With the nearest neighbours (Å) after each atom.
Sites, in units of the cell vectors:
Ag  0.9748  0.5529  0.7500  2 S 2.51
S  0.5000  0.0000  0.0000  6 Ag 2.48-2.51
Ag  0.2574  0.2574  0.0207  2 S 2.50
Br  0.4959  0.4959  0.7500  10 Ag 3.24-3.56
S  0.5000  0.0000  0.5000  6 Ag 2.48-2.51
Ag  0.7082  0.2918  0.0000  2 S 2.48
Ag  0.7426  0.7426  0.5207  2 S 2.50
Ag  0.7426  0.7426  0.9793  2 S 2.50
Ag  0.5529  0.9748  0.7500  2 S 2.51
Ag  0.2918  0.7082  0.5000  2 S 2.48
Ag  0.2918  0.7082  0.0000  2 S 2.48
Ag  0.7082  0.2918  0.5000  2 S 2.48
Br  0.9672  0.9672  0.7500  4 Ag 2.90-3.17
Ag  0.4471  0.0252  0.2500  2 S 2.51
Br  0.0328  0.0328  0.2500  4 Ag 2.90-3.17
Ag  0.2574  0.2574  0.4793  2 S 2.50
S  0.0000  0.5000  0.5000  6 Ag 2.48-2.51
Br  0.5041  0.5041  0.2500  10 Ag 3.24-3.56
S  0.0000  0.5000  0.0000  6 Ag 2.48-2.51
Ag  0.0252  0.4471  0.2500  2 S 2.51



VASP calculation (PBE-GGA) on an optimized crystal structure of LiTi2BiO6.

Properties
**Total magnetization**: 0.00 μB/cell
**Calculated formation energy**: -2.84 eV per atom
**Symmetry**: R3 (146)

Cell lengths 5.5742, 5.5742, 5.5742 Å; angles 58.15, 58.15, 58.15 degrees
With the nearest neighbours (Å) after each atom.
Sites, in units of the cell vectors:
O  0.1627  0.3451  0.7663  1 Ti 1.88
O  0.8225  0.6833  0.2633  1 Ti 1.86
Bi  0.2161  0.2161  0.2161  6 O 2.36-2.40
Li  0.7025  0.7025  0.7025  6 O 2.22-2.34
O  0.3451  0.7663  0.1627  1 Ti 1.88
O  0.7663  0.1627  0.3451  1 Ti 1.88
Ti  0.4860  0.4860  0.4860  3 O 1.88
~~~
Designed an Inventory Control System to schedule equipment maintenance for effective cost control and budgeting. Developed a Budget Tracking system for project cost control. Used Dbase IV on an IBM PC/AT.
Chemical Engineer
Confidential,India December 1985 September 1986
Involved in the development of a database for the Payroll Department, using ORACLE.
M.S., Mathematics & Computer Science
B.S., Chemical Engineering